>tfw depressed
>tfw used to love vidya but now can't bring myself to play them
how do I recover bros
Tfw depressed
by playing gud games
you never will unless you get a gf
you won't get a gf
>inb4 "i actually do have a gf but i'm still depressed" meme
play games that are actually good
In that pic that faggot looks like Sasuke.
>tfw i only play vidya to pass the time and escape from my shitty life
>tfw got nobody to blame but myself
I legit couldn't tell if that was Sasuke or Noctis for a solid 5 minutes.
get a job
exercise regularly
wake up at the same time and go to bed at the same time
always do something productive every single day
What comes next are calculated crystals, not part of the page.
┌──
No. 1
## HoB2Ru (PBE)

Data for crystalline HoB2Ru at its relaxed geometry.

Structure (extended XYZ):
```
16
Lattice="5.9011 0.0000 0.0000 0.0000 5.3058 0.0000 0.0000 0.0000 6.3456" Properties=species:S:1:pos:R:3 pbc="T T T"
Ho 0.0632 1.3265 1.0358
Ho 2.8873 3.9794 4.2086
Ho 3.0138 1.3265 2.1370
Ho 5.8379 3.9794 5.3098
B 0.7756 3.0970 2.9312
B 0.7756 4.8618 2.9312
B 2.1750 0.4441 6.1040
B 2.1750 2.2089 6.1040
B 3.7261 3.0970 0.2416
B 3.7261 4.8618 0.2416
B 5.1256 0.4441 3.4144
B 5.1256 2.2089 3.4144
Ru 1.0684 1.3265 4.3238
Ru 1.8822 3.9794 1.1510
Ru 4.0189 1.3265 5.1946
Ru 4.8328 3.9794 2.0218
```

E_tot   -29.70 eV/f.u.
ΔE_f   -0.6221 eV per atom

---

No. 2
## CsCeF5 (PBE)

Data for crystalline CsCeF5 at its relaxed geometry.

Structure (extended XYZ):
```
56
Lattice="8.4737 0.0000 0.0000 0.0000 14.5841 0.0000 -2.3035 0.0000 8.3875" Properties=species:S:1:pos:R:3 pbc="T T T"
Cs 1.2103 0.3742 2.4797
Cs 0.0585 6.9179 6.6734
Cs 0.4333 0.3975 6.5989
Cs 1.5850 6.8946 2.4051
Cs 4.5852 7.6895 5.9824
Cs 5.7369 14.1866 1.7886
Cs 6.1117 7.6662 1.7141
Cs 4.9599 14.2099 5.9078
Ce -0.7614 10.8798 4.4998
Ce 0.3904 10.9963 0.3061
Ce 3.1836 10.8502 3.2277
Ce 2.0319 11.0259 7.4214
Ce 4.1383 3.5582 0.9661
Ce 2.9866 3.7338 5.1598
Ce 5.7798 3.5878 8.0814
Ce 6.9316 3.7043 3.8877
F -2.2054 8.9057 8.2088
F -1.0536 12.9705 4.0150
F -2.0600 1.5317 7.9446
F -0.9082 5.7603 3.7508
F -0.3690 3.1278 1.9886
F -1.5208 4.1642 6.1823
F 0.6931 3.6174 4.5259
F 1.8449 3.6746 0.3322
F 0.1913 9.9151 6.6364
F 1.3430 11.9610 2.4426
F 1.2290 9.7582 3.9780
F 0.0772 12.1180 8.1717
F 2.1592 9.8237 1.2904
F 1.0074 12.0524 5.4842
F 1.7501 3.3234 7.0511
F 2.9019 3.9687 2.8573
F 3.5030 1.4791 0.9324
F 2.3512 5.8129 5.1261
F 2.6304 1.6227 4.8132
F 3.7822 5.6693 0.6195
F 2.3880 8.9148 7.7680
F 3.5398 12.9614 3.5743
F 3.8190 8.7712 3.2614
F 2.6672 13.1050 7.4551
F 3.2683 10.6154 5.5301
F 4.4201 11.2607 1.3364
F 5.1628 2.5317 2.9033
F 4.0111 4.7604 7.0971
F 6.0930 2.4661 0.2158
F 4.9412 4.8259 4.4095
F 4.8272 2.6231 5.9449
F 5.9790 4.6690 1.7511
F 4.3253 10.9095 8.0553
F 5.4771 10.9667 3.8616
F 7.6910 10.4199 2.2051
F 6.5392 11.4563 6.3989
F 7.0784 8.8238 4.6367
F 8.2302 13.0524 0.4429
F 7.2238 1.6136 4.3725
F 8.3756 5.6784 0.1787
```

E_tot   -40.91 eV/f.u.
ΔE_f   -3.8316 eV per atom

---

No. 3
## Ba6MgSc2C2O6F14 (PBE)

Data for crystalline Ba6MgSc2C2O6F14 at its relaxed geometry.

Structure (extended XYZ):
```
31
Lattice="8.9968 0.0000 0.0000 0.0000 5.9622 0.0000 -0.5277 0.0000 10.8890" Properties=species:S:1:pos:R:3 pbc="T T T"
Ba 0.0000 0.0000 0.0000
Ba 0.1672 2.9811 3.2360
Ba 1.4281 2.9811 8.3922
Ba 3.8394 0.0000 10.3594
Ba 5.0357 2.9811 4.3098
Ba 7.4205 0.0000 6.3933
Mg 2.8877 0.0000 2.6029
Sc 2.1792 0.0000 5.6337
Sc 6.6471 2.9811 9.5753
C 4.2311 0.0000 7.1295
C 4.7582 2.9811 7.6614
O 2.9748 0.0000 7.5663
O 3.8328 2.9811 6.7703
O 4.3675 0.0000 5.8225
O 4.4752 2.9811 8.9421
O 5.2044 0.0000 7.9261
O 6.0262 2.9811 7.3461
F 0.8517 0.0000 2.4946
F 0.7771 1.3554 6.1452
F 0.7771 4.6069 6.1452
└──
find out why you are depressed. work on the issues. enjoy life again.
Get a good game like gravity rush 2
by stop being a pussy
thats literally it
stop going on Sup Forums where nobody plays video games and underages/redditors/contrarians insist that every vidya game is shit/has a sjw agenda/was never good
don't let others dictate your taste
Get good sleep.
Get good nutrition.
Exercise regularly.
Get more sunlight.
Meet and interact with other human beings.
Try learning something new.
Possibly cut down on masturbation.
By seeking to improve your mental state through drugs and/or therapy. CBT helped me along with reading up on Stoic philosophy, in which CBT is based in part.
Do your best, user, and you can be happy.
>tfw you will never eat a burger
Stop playing shitty games related to your picture.
>Possibly cut down on masturbation.
Let's not go crazy here user.
Literally Sasuke
Not like that I won't. Who the hell eats a burger like that? You're just gonna have sauce dripping all over your palm.
>Having a GF solve all your problem
You can be this ignorant in 2017.
>cock and ball torture helped my mental state
dont do this and become a mindless drone.
if you want a big messy burger you have to jump on that grenade
I do it all the time
not being depressed != having no problems
>tfw you have a gf but both of you are depressed
sounds ideal
>cut down on masturbation
There's no cure for depression. At least in life.
Just buy a gun and go shooting
I guarantee it will fix depression. Just ask /k/ - you'll get loads of responses like "whenever I feel upset I'll go shooting, it's like an antidepressant"
It is nice to have someone who gets it, and help each other through the worst patches
We both wish we could do more for each other though. I hate seeing her suffer
>Possibly cut down on masturbation.
You're probably right though. Just one more and then I'll cut it from my life for a while
_The piece is interrupted by data records_
No. 1
Computed, not measured: a geometry-optimized H14Pb6C8O13 structure at the PBE level of DFT.

Properties
Total energy   -5.88 eV per atom
E (MP2020)   -499.6 eV for the cell shown
ρ   4.56 g/cm3
Magnetization   0.00 μB per atom

Lattice parameters (Å, degrees): 7.4299 11.9304 14.1878 113.08 99.79 90.07
Closest atoms and distances in Å follow each position.
Space group P-1 (No. 2)
Unique sites:
H1 0.0462 0.1761 0.1441 [2 per cell]  1 C 1.10
H2 0.0778 0.6901 0.8338 [2 per cell]  1 C 1.10
H3 0.0991 0.7358 0.1362 [2 per cell]  1 C 1.10
H4 0.1018 0.3424 0.8565 [2 per cell]  1 C 1.10
H5 0.1200 0.6052 0.1667 [2 per cell]  1 C 1.10
H6 0.1293 0.0324 0.9764 [2 per cell]  1 C 1.10
H7 0.1659 0.3203 0.1791 [2 per cell]  1 C 1.10
H8 0.2059 0.9500 0.1546 [2 per cell]  1 O 0.99
H9 0.2197 0.1669 0.9716 [2 per cell]  1 C 1.10
H10 0.3437 0.5699 0.9799 [2 per cell]  1 C 1.10
H11 0.3620 0.0445 0.9618 [2 per cell]  1 C 1.10
H12 0.3634 0.7039 0.9572 [2 per cell]  1 C 1.10
H13 0.4172 0.9743 0.1574 [2 per cell]  1 O 0.98
H14 0.4339 0.3636 0.0102 [2 per cell]  1 C 1.10
Pb1 0.1570 0.9136 0.5800 [2 per cell]  3 O 2.27-2.45
Pb2 0.1639 0.4109 0.5847 [2 per cell]  3 O 2.25-2.45
Pb3 0.3601 0.0926 0.4316 [2 per cell]  4 O 2.42
Pb4 0.3653 0.5892 0.4213 [2 per cell]  4 O 2.38-2.51
Pb5 0.4240 0.7233 0.7050 [2 per cell]  2 O 2.23-2.25
Pb6 0.4418 0.2226 0.7158 [2 per cell]  2 O 2.26-2.28
C1 0.0429 0.6865 0.1772 [2 per cell]  3 H 1.10
C2 0.0491 0.2746 0.1914 [2 per cell]  3 H 1.10
C3 0.0687 0.7694 0.2918 [2 per cell]  2 O 1.28
C4 0.0697 0.2920 0.3042 [2 per cell]  2 O 1.28-1.29
C5 0.1595 0.0162 0.8228 [2 per cell]  2 O 1.26-1.30
C6 0.2224 0.0669 0.9401 [2 per cell]  3 H 1.10
C7 0.4189 0.5383 0.8315 [2 per cell]  2 O 1.26-1.29
C8 0.4249 0.6169 0.9465 [2 per cell]  3 H 1.10
O1 0.0089 0.9965 0.2158 [2 per cell]  1 C 1.26
O2 0.0710 0.1966 0.6650 [2 per cell]  1 C 1.28
O3 0.0740 0.7034 0.6553 [2 per cell]  1 C 1.29
O4 0.2303 0.3019 0.3574 [2 per cell]  1 C 1.28
O5 0.2328 0.8025 0.3437 [2 per cell]  1 C 1.28
O6 0.2570 0.5072 0.7745 [2 per cell]  1 C 1.29
O7 0.2863 0.9887 0.7665 [2 per cell]  1 C 1.30
O8 0.3136 0.9132 0.1247 [2 per cell]  2 H 0.98-0.99
O9 0.3841 0.5351 0.5767 [2 per cell]  4 Pb 2.25-2.51
O10 0.3856 0.7851 0.5739 [2 per cell]  4 Pb 2.23-2.47
O11 0.3891 0.0380 0.5806 [2 per cell]  4 Pb 2.26-2.42
O12 0.3887 0.2845 0.5815 [2 per cell]  4 Pb 2.25-2.42
O13 0.4331 0.4914 0.2016 [2 per cell]  1 C 1.26



No. 2
Computed, not measured: a geometry-optimized H2PbC2O4 structure at the PBE level of DFT.

Properties
Total energy   -6.41 eV per atom
E (MP2020)   -241.7 eV for the cell shown
ρ   4.26 g/cm3
Magnetization   0.00 μB per atom

Lattice parameters (Å, degrees): 6.6876 7.7426 8.9475 90.00 90.00 90.00
Closest atoms and distances in Å follow each position.
Space group P2_12_12_1 (No. 19)
Unique sites:
H1 0.0069 0.0312 0.2246 [4 per cell]  1 C 1.11
H2 0.2397 0.2879 0.9914 [4 per cell]  1 C 1.11
Pb1 0.0706 0.7550 0.8320 [4 per cell]  4 O 2.44-2.70
is that sasuke????
as someone who is depressed who does nothing BUT play games, i have some advice for you. go outside whenever you can, find an open field, and scream as loudly and as high pitched as you possibly could. bonus points if its right beside a family doing some family shit.
helps you get out your stress.
that's prince noctis, you uncultured swine.
Yeah okay you're lucky